== Contents ==
# GGA-PBE DyCrS3, relaxed
# Calculated volume: 779.2 Å³/cell
# Mass density: 5297 kg/m³
# Total magnetic moment: 3.0 μB/f.u.
data_DyCrS3
_chemical_formula_sum 'Dy8 Cr8 S24'
_space_group_name_H-M_alt 'P 1'
_space_group_IT_number 1
_cell_length_a 3.701
_cell_length_b 12.991
_cell_length_c 16.204
_cell_angle_alpha 90.00
_cell_angle_beta 90.00
_cell_angle_gamma 90.00
loop_
_space_group_symop_operation_xyz
'x,y,z'
loop_
_atom_site_label
_atom_site_type_symbol
_atom_site_fract_x
_atom_site_fract_y
_atom_site_fract_z
_atom_site_occupancy
S1 S 0.500 0.109 0.116 1
S2 S 0.500 0.084 0.763 1
Cr1 Cr 0.500 0.479 0.684 1
Dy1 Dy 0.500 0.329 0.154 1
Cr2 Cr 0.500 0.000 0.000 1
Dy2 Dy 0.500 0.671 0.846 1
Cr3 Cr 0.500 0.000 0.500 1
Dy3 Dy 0.000 0.242 0.394 1
S3 S 0.500 0.413 0.431 1
S4 S 0.000 0.416 0.263 1
Cr4 Cr 0.000 0.500 0.000 1
S5 S 0.500 0.815 0.472 1
S6 S 0.000 0.027 0.405 1
Dy4 Dy 0.000 0.829 0.346 1
S7 S 0.000 0.584 0.737 1
S8 S 0.500 0.891 0.884 1
S9 S 0.000 0.913 0.069 1
Dy5 Dy 0.500 0.258 0.894 1
S10 S 0.500 0.916 0.237 1
Cr5 Cr 0.000 0.979 0.816 1
Cr6 Cr 0.500 0.521 0.316 1
S11 S 0.000 0.303 0.786 1
Dy6 Dy 0.000 0.171 0.654 1
S12 S 0.500 0.197 0.286 1
S13 S 0.500 0.803 0.714 1
S14 S 0.000 0.391 0.616 1
Cr7 Cr 0.000 0.021 0.184 1
S15 S 0.000 0.609 0.384 1
Cr8 Cr 0.000 0.500 0.500 1
S16 S 0.000 0.973 0.595 1
S17 S 0.500 0.473 0.905 1
S18 S 0.500 0.527 0.095 1
S19 S 0.000 0.697 0.214 1
S20 S 0.000 0.315 0.028 1
S21 S 0.000 0.685 0.972 1
S22 S 0.500 0.185 0.528 1
S23 S 0.000 0.087 0.931 1
Dy7 Dy 0.500 0.742 0.106 1
Dy8 Dy 0.000 0.758 0.606 1
S24 S 0.500 0.587 0.569 1



# GGA-PBE Dy3CrS6, relaxed
# Calculated volume: 801.8 Å³/cell
# Mass density: 6063 kg/m³
data_Dy3CrS6
_chemical_formula_sum 'Dy12 Cr4 S24'
_space_group_name_H-M_alt 'P 1'
_space_group_IT_number 1
_cell_length_a 3.782
_cell_length_b 13.271
_cell_length_c 15.975
_cell_angle_alpha 90.00
_cell_angle_beta 90.00
_cell_angle_gamma 90.00
loop_
_space_group_symop_operation_xyz
'x,y,z'
loop_
_atom_site_label
_atom_site_type_symbol
_atom_site_fract_x
_atom_site_fract_y
_atom_site_fract_z
_atom_site_occupancy
S1 S 0.500 0.313 0.789 1
S2 S 0.000 0.813 0.711 1
Dy1 Dy 0.000 0.450 0.719 1
Dy2 Dy 0.000 0.320 0.148 1
Cr1 Cr 0.000 0.000 0.000 1
S3 S 0.000 0.417 0.425 1
S4 S 0.500 0.320 0.021 1
S5 S 0.000 0.121 0.107 1
S6 S 0.500 0.680 0.979 1
S7 S 0.500 0.917 0.075 1
Dy3 Dy 0.000 0.246 0.903 1
Dy4 Dy 0.500 0.746 0.597 1
S8 S 0.500 0.604 0.745 1
S9 S 0.500 0.621 0.393 1
Dy5 Dy 0.500 0.050 0.219 1
Dy6 Dy 0.000 0.680 0.852 1
S10 S 0.000 0.187 0.289 1
S11 S 0.500 0.976 0.597 1
S12 S 0.000 0.820 0.479 1
S13 S 0.500 0.083 0.925 1
S14 S 0.000 0.896 0.245 1
Dy7 Dy 0.500 0.950 0.781 1
S15 S 0.000 0.476 0.903 1
Dy8 Dy 0.000 0.754 0.097 1
S16 S 0.500 0.396 0.255 1
Dy9 Dy 0.000 0.550 0.281 1
Dy10 Dy 0.500 0.180 0.648 1
Cr2 Cr 0.000 0.000 0.500 1
Dy11 Dy 0.500 0.254 0.403 1
S17 S 0.000 0.180 0.521 1
S18 S 0.500 0.379 0.607 1
Cr3 Cr 0.500 0.500 0.500 1
S19 S 0.500 0.687 0.211 1
S20 S 0.000 0.879 0.893 1
S21 S 0.000 0.524 0.097 1
S22 S 0.500 0.024 0.403 1
Cr4 Cr 0.500 0.500 0.000 1
S23 S 0.000 0.104 0.755 1
S24 S 0.000 0.583 0.575 1
Dy12 Dy 0.500 0.820 0.352 1



# GGA-PBE Dy4CrS7, relaxed
# Calculated volume: 259.7 Å³/cell
# Mass density: 5923 kg/m³
# Total magnetic moment: 3.8 μB/f.u.
data_Dy4CrS7
_chemical_formula_sum 'Dy4 Cr1 S7'
_space_group_name_H-M_alt 'P 1'
_space_group_IT_number 1
_cell_length_a 3.811
_cell_length_b 6.524
_cell_length_c 11.341
_cell_angle_alpha 104.89
_cell_angle_beta 90.00
_cell_angle_gamma 73.02
loop_
_space_group_symop_operation_xyz
'x,y,z'
loop_
_atom_site_label
_atom_site_type_symbol
_atom_site_fract_x
_atom_site_fract_y
_atom_site_fract_z
_atom_site_occupancy
Dy1 Dy 0.112 0.776 0.563 1
S1 S 0.493 0.014 0.490 1
Dy2 Dy 0.693 0.613 0.209 1
S2 S 0.963 0.074 0.784 1
S3 S 0.031 0.939 0.233 1
S4 S 0.747 0.505 0.633 1
S5 S 0.336 0.327 0.053 1
Dy3 Dy 0.999 0.002 0.008 1
Cr1 Cr 0.885 0.230 0.425 1
S6 S 0.274 0.451 0.353 1
Dy4 Dy 0.306 0.388 0.801 1
S7 S 0.660 0.680 0.948 1

== What to do ==
Next, start at the top of the notes further up and type out each line, ending with the one that has "0.500 0.473".

== Worked solution ==
# GGA-PBE DyCrS3, relaxed
# Calculated volume: 779.2 Å³/cell
# Mass density: 5297 kg/m³
# Total magnetic moment: 3.0 μB/f.u.
data_DyCrS3
_chemical_formula_sum 'Dy8 Cr8 S24'
_space_group_name_H-M_alt 'P 1'
_space_group_IT_number 1
_cell_length_a 3.701
_cell_length_b 12.991
_cell_length_c 16.204
_cell_angle_alpha 90.00
_cell_angle_beta 90.00
_cell_angle_gamma 90.00
loop_
_space_group_symop_operation_xyz
'x,y,z'
loop_
_atom_site_label
_atom_site_type_symbol
_atom_site_fract_x
_atom_site_fract_y
_atom_site_fract_z
_atom_site_occupancy
S1 S 0.500 0.109 0.116 1
S2 S 0.500 0.084 0.763 1
Cr1 Cr 0.500 0.479 0.684 1
Dy1 Dy 0.500 0.329 0.154 1
Cr2 Cr 0.500 0.000 0.000 1
Dy2 Dy 0.500 0.671 0.846 1
Cr3 Cr 0.500 0.000 0.500 1
Dy3 Dy 0.000 0.242 0.394 1
S3 S 0.500 0.413 0.431 1
S4 S 0.000 0.416 0.263 1
Cr4 Cr 0.000 0.500 0.000 1
S5 S 0.500 0.815 0.472 1
S6 S 0.000 0.027 0.405 1
Dy4 Dy 0.000 0.829 0.346 1
S7 S 0.000 0.584 0.737 1
S8 S 0.500 0.891 0.884 1
S9 S 0.000 0.913 0.069 1
Dy5 Dy 0.500 0.258 0.894 1
S10 S 0.500 0.916 0.237 1
Cr5 Cr 0.000 0.979 0.816 1
Cr6 Cr 0.500 0.521 0.316 1
S11 S 0.000 0.303 0.786 1
Dy6 Dy 0.000 0.171 0.654 1
S12 S 0.500 0.197 0.286 1
S13 S 0.500 0.803 0.714 1
S14 S 0.000 0.391 0.616 1
Cr7 Cr 0.000 0.021 0.184 1
S15 S 0.000 0.609 0.384 1
Cr8 Cr 0.000 0.500 0.500 1
S16 S 0.000 0.973 0.595 1
S17 S 0.500 0.473 0.905 1